Logic Builder

Logic Builder is one of the tools available on the thingable platform! for the development of unforeseen extra functionalities or adjustments in the business logic of each customer. With Logic Builder it is possible to manipulate message packets to make them compatible with other services, create APls to interact with external systems and even create graphical interfaces that can be invoked within the created applications.

The Logic Builder interface brings simplified development by linking code blocks that have the function of executing task flows through a visual programming approach.

The tool can be accessed on the homepage of the environment, as shown in figure 1.

The logic behind the developments, using Logic Builder, is usually made through a combination of input nodes, processing nodes, and output nodes, and when they are connected together, they form what is called "flow".

In Figure 2, we can observe a simple processing flow that can be developed by Logic Builder, presenting a minimum sequence required for the correct functioning of a flow, namely: data input, processing and output.

The data entry is responsible for injecting some information that may come from another service, system, "inject" node or even another flow.

Below is a relaxed structure of Mg2Ag, with properties calculated at the r2SCAN level.

a = 5.563 Å, b = 5.563 Å, c = 4.784 Å
α = 90.00°, β = 90.00°, γ = 51.13°
Positions (direct):
Mg 0.095 0.598 0.750
Mg 0.402 0.905 0.750
Mg 0.598 0.095 0.250
Mg 0.905 0.402 0.250
Ag 0.253 0.747 0.250
Ag 0.747 0.253 0.750

Results
**SG**: Cmcm
**V**: 57.6 Å³/f.u.
**Total moment**: 0.00 μB per cell
**Energy of formation from the pure elements**: -0.1429 eV per atom
**DFT total energy**: -60.25 eV per cell

Processing is responsible for handling the information, this node can have a predefined function, or it can be a custom node in JavaScript language using the "function" node.

Exit is responsible for delivering the treated data to another flow or presentation on screen through the "debug" node.

The information that travels between the nodes of a stream is, by convention, json objects called "msg", the properties of that object vary according to the treatment undergone when passing through each node.

Most flows have as their default form the exchange of a payload, called "payload", and have as identification msg.payload. This payload will often be changed along the flow to have the expected result at the exit.

Getting Started

When accessing the Logic Builder tool environment, a screen similar to Figure 3 is presented.

Still in Figure 3, three main parts stand out, namely: 1 - Knots Palette, 2 - Flow Development, 3 - Information.

Due to the extensive number of nodes, it is impossible to talk about each one in this tutorial, so let's focus on a very used node, the "function" node.

The "function" node is important due to the possibility of developing a Javascript code when there is no dedicated node for the specific task to be performed. Often, in a loT application we come across data treatments that are unique to that application, so the use of the "function" node becomes important to manipulate the messages to the desired format.

The following topic presents a practical use of the "function" node.

Practical example, date converter

In loT applications, some devices often present their date and time ranges in UNIX Timestamp. However, in some cases, it is necessary to present the date in a format understandable by the human being, so we will create a UNIX Timestamp converter for human readable format, according to the steps below:

Step 1: Go to Logic Builder.

Here the page breaks off for crystal structures:
........
[1]
LiTm2Co, optimized geometry, DFT PBE; DFT formation energy = -0.12 eV per atom
1.0
6.7759 0.0000 0.0000
0.0000 6.7759 0.0000
0.0000 0.0000 6.7759
Li Tm Co
4 8 4
Direct
0.0000 0.0000 0.0000 Li
0.0000 0.5000 0.5000 Li
0.5000 0.0000 0.5000 Li
0.5000 0.5000 0.0000 Li
0.2500 0.2500 0.2500 Tm
0.2500 0.2500 0.7500 Tm
0.2500 0.7500 0.2500 Tm
0.2500 0.7500 0.7500 Tm
0.7500 0.2500 0.2500 Tm
0.7500 0.2500 0.7500 Tm
0.7500 0.7500 0.2500 Tm
0.7500 0.7500 0.7500 Tm
0.0000 0.0000 0.5000 Co
0.0000 0.5000 0.0000 Co
0.5000 0.0000 0.0000 Co
0.5000 0.5000 0.5000 Co

=====

[2]
Li6La3Sb2O12, optimized geometry, DFT PBE; corrected total energy (MP2020 scheme) = -619.069 eV for the cell shown; DFT formation energy = -2.65 eV per atom
1.0
-6.5321 6.5321 6.5321
6.5321 -6.5321 6.5321
6.5321 6.5321 -6.5321
Li La Sb O
24 12 8 48
Direct
0.0392 0.4304 0.2519 Li
0.0696 0.1089 0.8215 Li
0.1089 0.8215 0.0696 Li
0.1785 0.9304 0.8911 Li
0.2127 0.7519 0.3215 Li
0.2481 0.6785 0.7873 Li
0.2519 0.0392 0.4304 Li
0.2873 0.6089 0.5392 Li
0.3215 0.2127 0.7519 Li
0.3911 0.4608 0.7127 Li
0.4304 0.2519 0.0392 Li
0.4608 0.7127 0.3911 Li
0.5392 0.2873 0.6089 Li
0.5696 0.7481 0.9608 Li
0.6089 0.5392 0.2873 Li
0.6785 0.7873 0.2481 Li
0.7127 0.3911 0.4608 Li
0.7481 0.9608 0.5696 Li
0.7519 0.3215 0.2127 Li
0.7873 0.2481 0.6785 Li
0.8215 0.0696 0.1089 Li
0.8911 0.1785 0.9304 Li
0.9304 0.8911 0.1785 Li
0.9608 0.5696 0.7481 Li
0.1197 0.3697 0.7500 La
0.1303 0.2500 0.3803 La
0.2500 0.3803 0.1303 La
0.2500 0.8803 0.6303 La
0.3697 0.7500 0.1197 La
0.3803 0.1303 0.2500 La
0.6197 0.8697 0.7500 La
0.6303 0.2500 0.8803 La
0.7500 0.1197 0.3697 La
0.7500 0.6197 0.8697 La
0.8697 0.7500 0.6197 La
0.8803 0.6303 0.2500 La
0.0000 0.0000 0.0000 Sb
0.0000 0.0000 0.5000 Sb
0.0000 0.5000 0.0000 Sb
0.0000 0.5000 0.5000 Sb
0.5000 0.0000 0.0000 Sb
0.5000 0.0000 0.5000 Sb
0.5000 0.5000 0.0000 Sb
0.5000 0.5000 0.5000 Sb
0.0147 0.1906 0.1158 O
0.0306 0.3179 0.9125 O
0.0748 0.6906 0.6759 O
0.0875 0.9694 0.6821 O
0.0946 0.8819 0.4125 O
0.1011 0.6158 0.4252 O
0.1158 0.0147 0.1906 O
0.1181 0.5875 0.9054 O
0.1759 0.4853 0.6011 O
0.1821 0.2127 0.5946 O
0.1906 0.1158 0.0147 O
0.2127 0.5946 0.1821 O
0.2873 0.4694 0.3819 O
0.3094 0.3241 0.9252 O
0.3179 0.9125 0.0306 O
0.3241 0.9252 0.3094 O
0.3819 0.2873 0.4694 O
0.3842 0.5748 0.8989 O
0.3989 0.8241 0.5147 O
0.4054 0.8179 0.7873 O
0.4125 0.0946 0.8819 O
0.4252 0.1011 0.6158 O
0.4694 0.3819 0.2873 O
0.4853 0.6011 0.1759 O
0.5147 0.3989 0.8241 O
0.5306 0.6181 0.7127 O
0.5748 0.8989 0.3842 O
0.5875 0.9054 0.1181 O
0.5946 0.1821 0.2127 O
0.6011 0.1759 0.4853 O
0.6158 0.4252 0.1011 O
0.6181 0.7127 0.5306 O
0.6759 0.0748 0.6906 O
0.6821 0.0875 0.9694 O
0.6906 0.6759 0.0748 O
0.7127 0.5306 0.6181 O
0.7873 0.4054 0.8179 O
0.8094 0.8842 0.9853 O
0.8179 0.7873 0.4054 O
0.8241 0.5147 0.3989 O
0.8819 0.4125 0.0946 O
0.8842 0.9853 0.8094 O
0.8989 0.3842 0.5748 O
0.9054 0.1181 0.5875 O
0.9125 0.0306 0.3179 O
0.9252 0.3094 0.3241 O
0.9694 0.6821 0.0875 O
0.9853 0.8094 0.8842 O
........

Step 2: Search the "Knots Palette" for the three nodes: Inject, Function and Debug, and drag them to the "Flow Development" area. Arrange the nodes, as shown in Figure 5.

Step 3: Configure each node as needed, starting with the Inject node. Double-click and the following setup screen will appear:

In this node we won't need the "msg.topic", so we can delete it by clicking on the "x" corresponding to it. We will use as a message payload, that is, our "msg.payload", will be the timestamp value that comes configured as UNIX. Finally, let's put an 'Input' name on this node so that we can easily identify it, click on "Done" and the node will already be configured.

Now let's configure the main node, the processing node, which will be the "Function". Performing the same procedure as before, you will open a window like the one in Figure 7.

In the "On Message" tab, we can create a code that will convert dates, so we will use a Javascript class called "Date", this class provides us with many methods to present the date according to the format we want.

To perform the conversion we will use the code below:

var timestamp = msg.payload; // Allocates the contents of msg.payload to a variable called timestamp.
var date = new Date(timestamp); // Uses the Date Class to create a new date named date.
msg.payload = ("Date: "+date.getDate()+
" "+date.getHours()+
":"+date.getSeconds());    // This block identifies each part of the date and saves it in msg.payload.
return msg; //Returns to msg.payload changed and treated for output.

After pasting the code into the editor's development environment, change the name to 'Converter' and click on 'Done', as shown in Figure 8.

Finally, let's change the Debug node, this node will be our exit, it serves mainly to present the content of the message we are expecting to receive in the Information area (Figure 3). To do this, we need to change the node to present the complete message, that is, all the information that comes in the message will be displayed on the debug screen. If you want to see only the payload object, no changes are required.

After changing the output type, from "msg." to "complete msg object", and changing the name to 'Output', click on "Done". Now we can see the message output in the "debug" tab in the info area.

For the flow to work, it is necessary to connect all the blocks. To do this, simply click on the gray square at the end of the desired node, from it will come a line that the user can connect in another block, the result will be as shown in Figure 10. Afterwards, click “Deploy”, take the opportunity to explore and understand the deploy options available.

After clicking "Deploy" the blue circles at the top corner of the nodes disappear, indicating that the flow is ready to run.

-- The entry is interrupted by records of crystals --
- - -
1.
The following is a GGA+U calculation of a relaxed CoP2O4 crystal, from the Materials Project database.

Cell: 5.436 7.598 6.564 Å, 90.00 90.30 90.00°
Positions (direct):
Co1 0.000 0.000 0.000
Co2 0.000 0.000 0.500
P1 0.000 0.372 0.250
P2 0.000 0.628 0.750
P3 0.500 0.149 0.750
P4 0.500 0.851 0.250
O1 0.003 0.260 0.055
O2 0.003 0.740 0.555
O3 0.269 0.033 0.765
O4 0.269 0.967 0.265
O5 0.731 0.033 0.735
O6 0.731 0.967 0.235
O7 0.997 0.260 0.445
O8 0.997 0.740 0.945

The value obtained for the formation energy is -1.627 eV per atom. As for the energy above the most stable polymorph in this dataset: 0.0 meV per atom.

2.
The following is a GGA+U calculation of a relaxed V2PO5 crystal, from the Materials Project database.

Cell: 5.480 5.480 7.371 Å, 111.78 111.78 90.01°
Positions (direct):
V1 0.000 0.000 0.000
V2 0.000 0.000 0.500
V3 0.000 0.500 0.000
V4 0.500 0.000 0.500
P1 0.373 0.627 0.750
P2 0.627 0.373 0.250
O1 0.115 0.885 0.250
O2 0.206 0.697 0.887
O3 0.303 0.794 0.613
O4 0.305 0.322 0.618
O5 0.322 0.305 0.118
O6 0.678 0.695 0.882
O7 0.695 0.678 0.382
O8 0.697 0.206 0.387
O9 0.794 0.303 0.113
O10 0.885 0.115 0.750

The value obtained for the formation energy is -2.605 eV per atom.

3.
The following is a GGA+U calculation of a relaxed Li4Ti3Mn2Cu3O16 crystal, from the Materials Project database.

Cell: 5.893 5.895 9.546 Å, 88.02 89.91 60.11°
Positions (direct):
Li1 0.000 0.000 0.000
Li2 0.004 0.993 0.508
Li3 0.346 0.307 0.414
Li4 0.679 0.644 0.910
Ti1 0.180 0.638 0.727
Ti2 0.350 0.804 0.226
Ti3 0.845 0.805 0.226
Mn1 0.345 0.308 0.995
Mn2 0.679 0.640 0.498
Cu1 0.180 0.150 0.721
Cu2 0.668 0.150 0.724
Cu3 0.841 0.318 0.221
O1 0.010 0.988 0.810
O2 0.011 0.979 0.317
O3 0.049 0.483 0.868
O4 0.182 0.637 0.120
O5 0.198 0.127 0.105
O6 0.340 0.313 0.620
O7 0.357 0.783 0.608
O8 0.476 0.474 0.865
O9 0.484 0.029 0.860
O10 0.519 0.513 0.365
O11 0.530 0.939 0.350
O12 0.674 0.652 0.118
O13 0.675 0.127 0.105
O14 0.843 0.314 0.609
O15 0.853 0.793 0.610
O16 0.968 0.514 0.366

The value obtained for the formation energy is -2.196 eV per atom.

4.
The following is a GGA+U calculation of a relaxed MgMn6O8F4 crystal, from the Materials Project database.

Cell: 5.719 5.868 7.851 Å, 107.98 97.07 112.52°
Positions (direct):
Mg1 0.000 0.000 0.000
Mn1 0.014 0.035 0.504
Mn2 0.296 0.545 0.356
Mn3 0.374 0.917 0.774
Mn4 0.626 0.021 0.191
Mn5 0.674 0.443 0.641
Mn6 0.987 0.488 0.995
O1 0.033 0.684 0.825
O2 0.217 0.843 0.528
O3 0.307 0.362 0.530
O4 0.337 0.690 0.170
O5 0.593 0.856 0.928
O6 0.629 0.283 0.825
O7 0.762 0.171 0.456
O8 0.947 0.308 0.171
F1 0.071 0.165 0.813
F2 0.376 0.196 0.147
F3 0.701 0.703 0.501
F4 0.915 0.833 0.193

The value obtained for the formation energy is -2.292 eV per atom. As for the energy above the most stable polymorph in this dataset: 21.8 meV per atom.

5.
The following is a GGA+U calculation of a relaxed Li2MnOF3 crystal, from the Materials Project database.

Cell: 6.076 6.076 8.266 Å, 90.00 90.00 90.00°
Positions (direct):
Li1 0.016 0.233 0.000
- - -

Start the flow execution by clicking on the blue square at the left end of the Inbound node. As a result, a message with the Date and Time will be readably available in the debug window.

LogicBuilder is based on the open-source "Node-Red" tool. For more detailed information on the use of the tool just consult the official material: https://nodered.org/docs/

Full Code

[{"id":"de099b7c48d88bc8","type":"inject","z":"5b0f211e8f151acb","name":"Entrada","props":[{"p":"payload"}],"repeat":"","crontab":"","once":false,"onceDelay":0.1,"topic":"","payloadType":"date","x":410,"y":120,"wires":[["01df4ed733c410a1"]]},{"id":"ebecacc8c32c02b4","type":"debug","z":"5b0f211e8f151acb","name":"Saída","active":true,"tosidebar":true,"console":false,"tostatus":false,"complete":"true","targetType":"full","statusVal":"","statusType":"auto","x":730,"y":120,"wires":[]},{"id":"01df4ed733c410a1","type":"function","z":"5b0f211e8f151acb","name":"Conversor ","func":"var timestamp = msg.payload \nvar date = new Date(timestamp);\nmsg.payload = (\"Data: \"+date.getDate()+\n          \"/\"+(date.getMonth()+1)+\n          \"/\"+date.getFullYear()+\n          \" \"+date.getHours()+\n          \":\"+date.getMinutes()+\n          \":\"+date.getSeconds());\nreturn msg;\n","outputs":1,"noerr":0,"initialize":"","finalize":"","libs":[],"x":570,"y":120,"wires":[["ebecacc8c32c02b4"]]}]

Author: Matheus Widmer

Last updated